Quote everything below without altering anything.
-- begin --
C40H40CoN10O as an isolated structure. Source: the OMol25 dataset; level of theory: ωB97M-V with the def2-TZVPD basis set.

Last column: Mulliken charge in e.
Element x y z (Å)
Co -0.153112 -1.318583 0.015076  0.30
C -3.951852 -0.282082 -2.483766  -1.93
C -2.704260 0.380622 -3.013292  2.09
C -2.869663 1.469105 -3.862226  -0.87
C -1.789238 2.179226 -4.348343  -0.99
C -0.508283 1.828354 -3.951242  -1.04
C -0.294670 0.761445 -3.096140  0.83
C 1.102744 0.426085 -2.660614  -0.98
C -1.392976 0.000470 -2.658706  -0.58
N -1.200336 -1.123919 -1.807669  0.41
C -1.696679 -2.269234 -2.127620  0.74
C -2.137506 -2.659041 -3.498696  -1.98
C -1.755390 -3.324203 -1.064254  1.03
C -2.694393 -4.464742 -1.265012  -1.89
N -1.046956 -3.148434 -0.005033  0.74
C -0.877820 -4.216784 0.929760  -1.15
C -1.425119 -4.144099 2.218317  1.07
C -2.197614 -2.939629 2.680777  -1.27
C -1.265327 -5.225817 3.070950  -1.02
C -0.564455 -6.353148 2.676349  -0.93
C 0.007018 -6.397181 1.417865  -0.86
C -0.135351 -5.343333 0.525316  1.82
C 0.535857 -5.438306 -0.822237  -1.33
H -4.654391 0.486359 -2.163472  0.55
H -3.775167 -0.949046 -1.640136  0.31
H -4.445016 -0.856278 -3.270821  0.40
H -3.872934 1.756653 -4.152211  0.54
H -1.951004 3.011599 -5.019345  0.44
H 0.344137 2.387194 -4.315635  0.47
H 1.804114 1.174364 -3.023814  0.54
H 1.429487 -0.544771 -3.036635  0.34
H 1.151328 0.422583 -1.568728  -0.21
H -1.959918 -1.866773 -4.219832  0.42
H -3.192493 -2.932518 -3.529385  0.41
H -1.572546 -3.546349 -3.797489  0.53
H -3.685336 -4.074239 -1.507742  0.46
H -2.763586 -5.079101 -0.371707  0.44
H -2.389190 -5.096811 -2.100315  0.41
H -2.884190 -2.569051 1.918286  0.27
H -1.505203 -2.139367 2.944569  0.12
H -2.773479 -3.180037 3.571723  0.53
H -1.704411 -5.182607 4.059573  0.46
H -0.460671 -7.193349 3.349185  0.44
H 0.567579 -7.271155 1.109917  0.52
H 1.463902 -5.998948 -0.730607  0.54
H 0.770668 -4.461790 -1.246748  -0.03
H -0.092610 -5.975449 -1.536435  0.27
C -1.828680 2.162939 4.036334  -1.16
N -1.742781 1.268368 2.884779  0.83
C -0.715203 0.541278 2.463302  -0.21
N -0.991631 0.055255 1.255702  0.36
C -2.246926 0.535065 0.997499  -0.86
N -2.721280 1.267268 1.964623  -0.90
C -1.492730 3.583540 3.615473  0.96
C -2.342513 4.642243 3.902496  -0.78
C -2.030913 5.924913 3.467955  -0.75
C -0.894077 6.158304 2.715254  -0.84
C -0.048335 5.093573 2.410827  -0.13
C -0.343895 3.817307 2.876148  -0.18
C 1.109619 5.283983 1.555951  0.67
N 1.495511 6.349242 0.927323  -0.47
N 2.586439 6.009878 0.189705  -0.45
C 2.818530 4.753263 0.401785  0.63
O 1.912227 4.229073 1.264366  -0.24
C 3.839697 3.901166 -0.182220  -0.17
C 4.680091 4.390091 -1.180314  -0.99
C 5.627706 3.549017 -1.736003  -0.79
C 5.735907 2.230472 -1.313581  -0.80
C 4.904285 1.737722 -0.314646  1.28
C 5.078569 0.316118 0.176103  -1.25
N 3.877831 -0.508505 0.022635  1.05
C 2.694844 -0.419541 0.618965  -0.34
N 1.886166 -1.361599 0.136135  -0.11
C 2.665263 -2.009575 -0.783978  -0.63
N 3.867063 -1.516501 -0.868472  -0.94
C 3.964527 2.584923 0.253773  0.05
H -1.147566 1.802400 4.806707  0.27
H -2.846485 2.110745 4.414598  0.47
H 0.185845 0.373956 3.030696  0.58
H -2.791039 0.348831 0.085240  0.66
H -3.251536 4.465367 4.464479  0.42
H -2.697807 6.742794 3.704170  0.42
H -0.649816 7.146569 2.350119  0.56
H 0.332372 3.008336 2.629452  0.63
H 4.573478 5.417693 -1.500277  0.57
H 6.289435 3.920235 -2.506666  0.44
H 6.485395 1.586491 -1.758005  0.42
H 5.379073 0.311470 1.224164  0.32
H 5.843606 -0.184002 -0.409910  0.40
H 2.446030 0.271163 1.405855  0.54
H 2.339626 -2.862471 -1.356615  0.57
H 3.330389 2.253257 1.066313  0.52

Cartesian forces, eV/Å:
-0.09 0.09 0.06
0.04 0.03 -0.14
0.19 -0.16 0.25
0.01 0.07 -0.07
-0.04 -0.05 0.03
-0.05 0.06 -0.05
0.04 -0.28 0.13
-0.12 0.00 -0.04
-0.26 0.66 -0.53
0.05 -0.47 0.50
0.17 0.52 -0.43
-0.14 0.05 -0.01
0.05 -0.33 0.63
0.09 -0.12 -0.01
0.05 0.23 -0.53
0.16 -0.82 0.47
-0.11 0.19 -0.29
0.07 -0.05 -0.05
0.05 -0.08 0.04
0.00 0.03 -0.01
-0.02 -0.06 0.04
0.01 0.41 -0.04
-0.14 -0.07 0.05
-0.04 -0.04 0.01
-- stop --
C40H40CoN10O as an isolated structure. Source: the OMol25 dataset; level of theory: ωB97M-V with the def2-TZVPD basis set.

Last column: Mulliken charge in e.
Element x y z (Å)
Co -0.153112 -1.318583 0.015076  0.30
C -3.951852 -0.282082 -2.483766  -1.93
C -2.704260 0.380622 -3.013292  2.09
C -2.869663 1.469105 -3.862226  -0.87
C -1.789238 2.179226 -4.348343  -0.99
C -0.508283 1.828354 -3.951242  -1.04
C -0.294670 0.761445 -3.096140  0.83
C 1.102744 0.426085 -2.660614  -0.98
C -1.392976 0.000470 -2.658706  -0.58
N -1.200336 -1.123919 -1.807669  0.41
C -1.696679 -2.269234 -2.127620  0.74
C -2.137506 -2.659041 -3.498696  -1.98
C -1.755390 -3.324203 -1.064254  1.03
C -2.694393 -4.464742 -1.265012  -1.89
N -1.046956 -3.148434 -0.005033  0.74
C -0.877820 -4.216784 0.929760  -1.15
C -1.425119 -4.144099 2.218317  1.07
C -2.197614 -2.939629 2.680777  -1.27
C -1.265327 -5.225817 3.070950  -1.02
C -0.564455 -6.353148 2.676349  -0.93
C 0.007018 -6.397181 1.417865  -0.86
C -0.135351 -5.343333 0.525316  1.82
C 0.535857 -5.438306 -0.822237  -1.33
H -4.654391 0.486359 -2.163472  0.55
H -3.775167 -0.949046 -1.640136  0.31
H -4.445016 -0.856278 -3.270821  0.40
H -3.872934 1.756653 -4.152211  0.54
H -1.951004 3.011599 -5.019345  0.44
H 0.344137 2.387194 -4.315635  0.47
H 1.804114 1.174364 -3.023814  0.54
H 1.429487 -0.544771 -3.036635  0.34
H 1.151328 0.422583 -1.568728  -0.21
H -1.959918 -1.866773 -4.219832  0.42
H -3.192493 -2.932518 -3.529385  0.41
H -1.572546 -3.546349 -3.797489  0.53
H -3.685336 -4.074239 -1.507742  0.46
H -2.763586 -5.079101 -0.371707  0.44
H -2.389190 -5.096811 -2.100315  0.41
H -2.884190 -2.569051 1.918286  0.27
H -1.505203 -2.139367 2.944569  0.12
H -2.773479 -3.180037 3.571723  0.53
H -1.704411 -5.182607 4.059573  0.46
H -0.460671 -7.193349 3.349185  0.44
H 0.567579 -7.271155 1.109917  0.52
H 1.463902 -5.998948 -0.730607  0.54
H 0.770668 -4.461790 -1.246748  -0.03
H -0.092610 -5.975449 -1.536435  0.27
C -1.828680 2.162939 4.036334  -1.16
N -1.742781 1.268368 2.884779  0.83
C -0.715203 0.541278 2.463302  -0.21
N -0.991631 0.055255 1.255702  0.36
C -2.246926 0.535065 0.997499  -0.86
N -2.721280 1.267268 1.964623  -0.90
C -1.492730 3.583540 3.615473  0.96
C -2.342513 4.642243 3.902496  -0.78
C -2.030913 5.924913 3.467955  -0.75
C -0.894077 6.158304 2.715254  -0.84
C -0.048335 5.093573 2.410827  -0.13
C -0.343895 3.817307 2.876148  -0.18
C 1.109619 5.283983 1.555951  0.67
N 1.495511 6.349242 0.927323  -0.47
N 2.586439 6.009878 0.189705  -0.45
C 2.818530 4.753263 0.401785  0.63
O 1.912227 4.229073 1.264366  -0.24
C 3.839697 3.901166 -0.182220  -0.17
C 4.680091 4.390091 -1.180314  -0.99
C 5.627706 3.549017 -1.736003  -0.79
C 5.735907 2.230472 -1.313581  -0.80
C 4.904285 1.737722 -0.314646  1.28
C 5.078569 0.316118 0.176103  -1.25
N 3.877831 -0.508505 0.022635  1.05
C 2.694844 -0.419541 0.618965  -0.34
N 1.886166 -1.361599 0.136135  -0.11
C 2.665263 -2.009575 -0.783978  -0.63
N 3.867063 -1.516501 -0.868472  -0.94
C 3.964527 2.584923 0.253773  0.05
H -1.147566 1.802400 4.806707  0.27
H -2.846485 2.110745 4.414598  0.47
H 0.185845 0.373956 3.030696  0.58
H -2.791039 0.348831 0.085240  0.66
H -3.251536 4.465367 4.464479  0.42
H -2.697807 6.742794 3.704170  0.42
H -0.649816 7.146569 2.350119  0.56
H 0.332372 3.008336 2.629452  0.63
H 4.573478 5.417693 -1.500277  0.57
H 6.289435 3.920235 -2.506666  0.44
H 6.485395 1.586491 -1.758005  0.42
H 5.379073 0.311470 1.224164  0.32
H 5.843606 -0.184002 -0.409910  0.40
H 2.446030 0.271163 1.405855  0.54
H 2.339626 -2.862471 -1.356615  0.57
H 3.330389 2.253257 1.066313  0.52

Cartesian forces, eV/Å:
-0.09 0.09 0.06
0.04 0.03 -0.14
0.19 -0.16 0.25
0.01 0.07 -0.07
-0.04 -0.05 0.03
-0.05 0.06 -0.05
0.04 -0.28 0.13
-0.12 0.00 -0.04
-0.26 0.66 -0.53
0.05 -0.47 0.50
0.17 0.52 -0.43
-0.14 0.05 -0.01
0.05 -0.33 0.63
0.09 -0.12 -0.01
0.05 0.23 -0.53
0.16 -0.82 0.47
-0.11 0.19 -0.29
0.07 -0.05 -0.05
0.05 -0.08 0.04
0.00 0.03 -0.01
-0.02 -0.06 0.04
0.01 0.41 -0.04
-0.14 -0.07 0.05
-0.04 -0.04 0.01